# Contents
Here is crystalline Cs3Tm2I9 at its relaxed geometry from Alexandria. Energies are from GGA-PBE.

Lattice parameters (Å, degrees): 8.579 8.579 21.866 90.00 90.00 120.00
Element x y z (fractional)
Cs 0.000 0.000 0.250
Cs 0.000 0.000 0.750
Cs 0.333 0.667 0.063
Cs 0.333 0.667 0.437
Cs 0.667 0.333 0.563
Cs 0.667 0.333 0.937
Tm 0.333 0.667 0.658
Tm 0.333 0.667 0.842
Tm 0.667 0.333 0.158
Tm 0.667 0.333 0.342
I 0.015 0.507 0.750
I 0.166 0.332 0.588
I 0.166 0.332 0.912
I 0.166 0.834 0.588
I 0.166 0.834 0.912
I 0.332 0.166 0.088
I 0.332 0.166 0.412
I 0.493 0.507 0.750
I 0.493 0.985 0.750
I 0.507 0.015 0.250
I 0.507 0.493 0.250
I 0.668 0.834 0.588
I 0.668 0.834 0.912
I 0.834 0.166 0.088
I 0.834 0.166 0.412
I 0.834 0.668 0.088
I 0.834 0.668 0.412
I 0.985 0.493 0.250

Its symmetry is P6_3/mmc (194). The total energy comes out at -3.30 eV/atom. Its volume is 1394 Å³/cell. As for the density of states at the Fermi level: 0.00 states/eV/f.u. The magnetization is 0.00 μB per formula unit.


Here is crystalline CoMo2 at its relaxed geometry from Alexandria. Energies are from GGA-PBE.

Lattice parameters (Å, degrees): 5.135 5.135 8.153 90.00 90.00 120.00
Element x y z (fractional)
Co 0.333 0.667 0.064
Co 0.333 0.667 0.436
Co 0.667 0.333 0.564
Co 0.667 0.333 0.936
Mo 0.000 0.000 0.000
Mo 0.000 0.000 0.500
Mo 0.172 0.344 0.750
Mo 0.172 0.828 0.750
Mo 0.344 0.172 0.250
Mo 0.656 0.828 0.750
Mo 0.828 0.172 0.250
Mo 0.828 0.656 0.250

Its symmetry is P6_3/mmc (194). The total energy comes out at -8.93 eV/atom. Its volume is 186 Å³/cell. For the formation energy, the calculation gives 0.656 eV per atom. As for the density of states at the Fermi level: 3.16 states/eV/f.u. The magnetization is 0.69 μB per formula unit.


Here is crystalline Ca2Mg2Hg at its relaxed geometry from Alexandria. Energies are from GGA-PBE.

Lattice parameters (Å, degrees): 8.294 8.294 4.748 90.00 90.00 90.00
Element x y z (fractional)
Ca 0.158 0.342 0.000
Ca 0.342 0.842 0.000
Ca 0.658 0.158 0.000
Ca 0.842 0.658 0.000
Mg 0.138 0.638 0.500
Mg 0.362 0.138 0.500
Mg 0.638 0.862 0.500
Mg 0.862 0.362 0.500
Hg 0.000 0.000 0.000
Hg 0.500 0.500 0.000

Its symmetry is P4/mbm (127). Its distance to the lowest polymorph of the same formula is 0.138 eV/atom. The total energy comes out at -1.50 eV/atom. Its volume is 327 Å³/cell. For the formation energy, the calculation gives 0.000 eV per atom. As for the density of states at the Fermi level: 4.80 states/eV/f.u. The magnetization is 0.00 μB per formula unit.


Here is crystalline K2CoRu at its relaxed geometry from Alexandria. Energies are from GGA-PBE.

Lattice parameters (Å, degrees): 3.449 4.378 5.521 90.00 90.00 90.00
Element x y z (fractional)
K 0.000 0.000 0.000
K 0.500 0.500 0.000
Co 0.000 0.500 0.500
Ru 0.500 0.000 0.500

Its symmetry is Pmmm (47). Its distance to the lowest polymorph of the same formula is 0.584 eV/atom. The total energy comes out at -3.36 eV/atom. Its volume is 83 Å³/cell. For the formation energy, the calculation gives 1.283 eV per atom. As for the density of states at the Fermi level: 3.23 states/eV/f.u. The magnetization is 2.89 μB per formula unit.


Here is crystalline Ti2SnPO at its relaxed geometry from Alexandria. Energies are from GGA-PBE.

Lattice parameters (Å, degrees): 4.828 4.828 3.602 90.00 90.00 90.00
Element x y z (fractional)
Ti 0.000 0.500 0.000
Ti 0.500 0.000 0.000
Sn 0.000 0.000 0.500
P 0.500 0.500 0.000
O 0.500 0.500 0.500

Its symmetry is P4/mmm (123). The total energy comes out at -6.44 eV/atom. Its volume is 84 Å³/cell. As for the density of states at the Fermi level: 3.28 states/eV/f.u. The magnetization is 0.00 μB per formula unit.


Here is crystalline VTcHgN2 at its relaxed geometry from Alexandria. Energies are from GGA-PBE.

Lattice parameters (Å, degrees): 4.024 4.024 5.314 90.00 90.00 90.00
Element x y z (fractional)
V 0.000 0.000 0.000
Tc 0.500 0.500 0.000
Hg 0.500 0.500 0.500
N 0.000 0.500 0.500
N 0.500 0.000 0.500

# To do
Return everything further above without altering anything, please.

# Response
Here is crystalline Cs3Tm2I9 at its relaxed geometry from Alexandria. Energies are from GGA-PBE.

Lattice parameters (Å, degrees): 8.579 8.579 21.866 90.00 90.00 120.00
Element x y z (fractional)
Cs 0.000 0.000 0.250
Cs 0.000 0.000 0.750
Cs 0.333 0.667 0.063
Cs 0.333 0.667 0.437
Cs 0.667 0.333 0.563
Cs 0.667 0.333 0.937
Tm 0.333 0.667 0.658
Tm 0.333 0.667 0.842
Tm 0.667 0.333 0.158
Tm 0.667 0.333 0.342
I 0.015 0.507 0.750
I 0.166 0.332 0.588
I 0.166 0.332 0.912
I 0.166 0.834 0.588
I 0.166 0.834 0.912
I 0.332 0.166 0.088
I 0.332 0.166 0.412
I 0.493 0.507 0.750
I 0.493 0.985 0.750
I 0.507 0.015 0.250
I 0.507 0.493 0.250
I 0.668 0.834 0.588
I 0.668 0.834 0.912
I 0.834 0.166 0.088
I 0.834 0.166 0.412
I 0.834 0.668 0.088
I 0.834 0.668 0.412
I 0.985 0.493 0.250

Its symmetry is P6_3/mmc (194). The total energy comes out at -3.30 eV/atom. Its volume is 1394 Å³/cell. As for the density of states at the Fermi level: 0.00 states/eV/f.u. The magnetization is 0.00 μB per formula unit.


Here is crystalline CoMo2 at its relaxed geometry from Alexandria. Energies are from GGA-PBE.

Lattice parameters (Å, degrees): 5.135 5.135 8.153 90.00 90.00 120.00
Element x y z (fractional)
Co 0.333 0.667 0.064
Co 0.333 0.667 0.436
Co 0.667 0.333 0.564
Co 0.667 0.333 0.936
Mo 0.000 0.000 0.000
Mo 0.000 0.000 0.500
Mo 0.172 0.344 0.750
Mo 0.172 0.828 0.750
Mo 0.344 0.172 0.250
Mo 0.656 0.828 0.750
Mo 0.828 0.172 0.250
Mo 0.828 0.656 0.250

Its symmetry is P6_3/mmc (194). The total energy comes out at -8.93 eV/atom. Its volume is 186 Å³/cell. For the formation energy, the calculation gives 0.656 eV per atom. As for the density of states at the Fermi level: 3.16 states/eV/f.u. The magnetization is 0.69 μB per formula unit.


Here is crystalline Ca2Mg2Hg at its relaxed geometry from Alexandria. Energies are from GGA-PBE.

Lattice parameters (Å, degrees): 8.294 8.294 4.748 90.00 90.00 90.00
Element x y z (fractional)
Ca 0.158 0.342 0.000
Ca 0.342 0.842 0.000
Ca 0.658 0.158 0.000
Ca 0.842 0.658 0.000
Mg 0.138 0.638 0.500
Mg 0.362 0.138 0.500
Mg 0.638 0.862 0.500
Mg 0.862 0.362 0.500
Hg 0.000 0.000 0.000
Hg 0.500 0.500 0.000

Its symmetry is P4/mbm (127). Its distance to the lowest polymorph of the same formula is 0.138 eV/atom. The total energy comes out at -1.50 eV/atom. Its volume is 327 Å³/cell. For the formation energy, the calculation gives 0.000 eV per atom. As for the density of states at the Fermi level: 4.80 states/eV/f.u. The magnetization is 0.00 μB per formula unit.


Here is crystalline K2CoRu at its relaxed geometry from Alexandria. Energies are from GGA-PBE.

Lattice parameters (Å, degrees): 3.449 4.378 5.521 90.00 90.00 90.00
Element x y z (fractional)
K 0.000 0.000 0.000
K 0.500 0.500 0.000
Co 0.000 0.500 0.500
Ru 0.500 0.000 0.500

Its symmetry is Pmmm (47). Its distance to the lowest polymorph of the same formula is 0.584 eV/atom. The total energy comes out at -3.36 eV/atom. Its volume is 83 Å³/cell. For the formation energy, the calculation gives 1.283 eV per atom. As for the density of states at the Fermi level: 3.23 states/eV/f.u. The magnetization is 2.89 μB per formula unit.


Here is crystalline Ti2SnPO at its relaxed geometry from Alexandria. Energies are from GGA-PBE.

Lattice parameters (Å, degrees): 4.828 4.828 3.602 90.00 90.00 90.00
Element x y z (fractional)
Ti 0.000 0.500 0.000
Ti 0.500 0.000 0.000
Sn 0.000 0.000 0.500
P 0.500 0.500 0.000
O 0.500 0.500 0.500

Its symmetry is P4/mmm (123). The total energy comes out at -6.44 eV/atom. Its volume is 84 Å³/cell. As for the density of states at the Fermi level: 3.28 states/eV/f.u. The magnetization is 0.00 μB per formula unit.


Here is crystalline VTcHgN2 at its relaxed geometry from Alexandria. Energies are from GGA-PBE.

Lattice parameters (Å, degrees): 4.024 4.024 5.314 90.00 90.00 90.00
Element x y z (fractional)
V 0.000 0.000 0.000
Tc 0.500 0.500 0.000
Hg 0.500 0.500 0.500
N 0.000 0.500 0.500
N 0.500 0.000 0.500